FOMMS 2018 was held July 15-20, 2018 at The Lake Lawn resort in Delavan, WI (85 miles northwest from Chicago O'Hare airport and 50 miles southwest from Milwaukee Mitchell airport).
FOMMS 2018 was the seventh triennial FOMMS conference showcasing new developments and applications of computational quantum chemistry, statistical mechanics, molecular simulation and theory, and continuum and engineering process simulation. The theme of the 2018 conference was Innovations for Complex Systems. Past FOMMS conferences have attracted an interdisciplinary mix of participants that includes chemical engineers, chemists, physicists, and materials scientists from both academia (including students and postdocs), government laboratories, and industry. The FOMMS conference is a Gordon-style meeting, with invited talks (plus ample discussion time), as well as poster sessions for contributed papers. The FOMMS conference also features hands-on workshops on research and educational topics. A good amount of free time is built into the schedule for scientific discussions, and activities are planned that take advantage of the beautiful surroundings, including hiking, water sports, and local tours.
FOMMS 2018 was anchored by the Keynote Lecture on Sunday evening presented by Sharon Glotzer and the FOMMS Medal Lecture on Thursday afternoon presented by Peter Cummings, the FOMMS 2018 Medal Awardee. Previous medal winners are Michele Parrinello (2009), Keith Gubbins (2012), and Carol Hall (2015).
FOMMS 2018 was sponsored by CAChE ( and by the Computational Molecular Science and Engineering Forum (CoMSEF) of the American Institute of Chemical Engineers (AIChE), as well as the AIChE Nanoscale Science & Engineering Forum.
Sessions and Speakers for FOMMS 2018:
Keynote Lecture
- Sharon Glotzer, University of Michigan
Plenary Lectures
- Nandini Ananth
- Maytal Caspary-Toroker
- Tina Duren
- Amparo Galindo
- Pieter in 't Veld
- Arthi Jayaraman
- Alenka Luzar
- Heather Mayes
- Peter Monson
- Chris Mundy
- Jim Pfaendtner
- Peter Ravikovitch
- Huai Sun
- Igal Szleifer
- Lourdes Vega
- Angela Wilson
- Kenji Yasuoka
- Yaroslava Yingling
FOMMS Medal Lecture
- Peter Cummings, Vanderbilt University
- Harish Vashisth
- Michael Shirts, David Kofke, and Peter Cummings
____________
# C22H20AsF5N2OSSbSe4TcTe

C22H20AsF5N2OSSbSe4TcTe as an isolated structure (the ωB97M-V functional and the def2-TZVPD basis, the OMol25 dataset).

Each line ends with the natural charge from an NBO analysis.
CARTESIAN COORDINATES (ANGSTROEM)
Tc1 -0.7883 -0.8275 -0.9837  0.398
S1 -0.9397 -2.3427 0.9312  0.404
C1 0.4796 -1.9977 1.9358  -0.133
C2 0.8420 -3.0033 2.8206  -0.200
C3 1.9658 -2.8279 3.6179  -0.167
C4 2.7071 -1.6619 3.5245  -0.155
C5 2.3333 -0.6587 2.6349  -0.177
C6 1.2160 -0.8231 1.8329  -0.405
As1 0.7200 0.5616 0.5857  1.404
C7 2.3611 1.2195 -0.1862  -0.392
C8 3.0579 2.1752 0.5577  -0.228
C9 4.2843 2.6377 0.1068  -0.187
C10 4.8125 2.1587 -1.0834  -0.156
C11 4.1197 1.2058 -1.8168  -0.206
C12 2.8971 0.7276 -1.3719  -0.124
C13 0.0862 1.9972 1.7026  -0.434
C14 -0.3541 1.7283 2.9986  -0.135
C15 -0.7202 2.7745 3.8355  -0.231
C16 -0.6480 4.0838 3.3806  -0.164
C17 -0.2028 4.3537 2.0896  -0.220
C18 0.1709 3.3139 1.2510  -0.212
H1 0.2583 -3.9127 2.8883  0.243
H2 2.2573 -3.6070 4.3086  0.250
H3 3.5865 -1.5282 4.1397  0.248
H4 2.9331 0.2397 2.5579  0.241
H5 2.6611 2.5656 1.4855  0.224
H6 4.8217 3.3752 0.6876  0.237
H7 5.7657 2.5259 -1.4389  0.240
H8 4.5308 0.8248 -2.7416  0.241
H9 2.3894 -0.0267 -1.9512  0.231
H10 -0.3899 0.7112 3.3682  0.224
H11 -1.0476 2.5655 4.8451  0.246
H12 -0.9222 4.8989 4.0373  0.247
H13 -0.1220 5.3763 1.7448  0.247
H14 0.5479 3.5326 0.2607  0.249
Se1 -5.1974 2.0462 0.5431  -0.348
Sb1 -3.0916 2.8215 1.0565  0.867
Se2 -2.2318 -0.5951 1.0438  0.129
Se3 -1.6426 1.0148 -2.4900  0.886
Se4 -2.0097 3.0329 -1.4283  -0.318
F1 0.1479 -0.5411 -5.1748  -0.592
Te1 -0.0624 -1.9351 -3.9925  2.635
F2 1.8312 -2.0468 -4.0217  -0.649
F3 0.9958 -1.5144 -1.0538  -0.530
F4 -0.0792 -3.3930 -5.1118  -0.589
F5 -1.9393 -1.7091 -4.4384  -0.698
O1 0.0066 0.4678 -2.2584  -0.818
C19 -4.5011 -0.8761 -1.9059  -0.681
C20 -3.5752 -2.0300 -2.0099  0.471
N1 -2.3378 -2.1812 -1.5286  -0.523
C21 -1.9501 -3.4962 -1.7949  -0.137
C22 -2.9482 -4.1161 -2.4602  -0.022
N2 -3.9496 -3.1848 -2.5734  -0.468
H15 -4.0038 0.0248 -1.5628  0.237
H16 -5.2834 -1.1043 -1.1787  0.267
H17 -4.9737 -0.6797 -2.8685  0.267
H18 -0.9967 -3.8862 -1.4818  0.250
H19 -3.0364 -5.1160 -2.8467  0.266
H20 -4.8424 -3.3383 -3.0184  0.453

Summary:
Orbital gap (spin up / spin down): 5.91 / 5.90 eV
Net charge: +2
ΔE to the lowest compared entry with this formula, charge and spin: 0.000 eV
DFT total energy: -14362.706234 a.u.
2S+1: 1

=====

# C22H35AlAs4OS2

C22H35AlAs4OS2 as an isolated structure (the ωB97M-V functional and the def2-TZVPD basis, the OMol25 dataset).

Each line ends with the natural charge from an NBO analysis.
CARTESIAN COORDINATES (ANGSTROEM)
Al1 1.0861 -0.4330 0.0669  0.880
C1 -2.0235 -1.3185 2.6551  -0.903
As1 -0.3419 -0.3619 2.2542  0.927
C2 0.8720 -1.1757 3.5514  -0.935
C3 -0.8215 1.2795 3.1818  -0.346
C4 -1.0467 1.2532 4.5383  -0.213
C5 -1.3273 2.4900 5.2182  -0.172
C6 -1.3165 3.7112 4.5226  -0.172
C7 -1.1888 3.6729 3.1090  -0.200
C8 -0.9112 2.4850 2.4527  -0.319
____________
FOMMS 2018 - Schedule at a Glance |
Session |
Morning |
Materials Design |
Water: Substrates and Ions |
Enhanced Sampling |
Coarse Graining and the Mesoscale |
Afternoon |
Registration |
Poster Session I |
Organized outings |
Poster Session II |
Workshops |
Evening |
Keynote Lecture |
Nano-composite and Bio-inspired Materials |
Theory of Complex Systems |
Quantum Chemistry for Challenging Systems |
Medal Lecture, Movie, and Banquet |